## Given
........
# Ac2Mn2Co15 | the Alexandria database | PBE-GGA | optimized geometry
data_Ac2Mn2Co15
_chemical_formula_sum 'Ac6 Mn6 Co45'
_space_group_name_H-M_alt 'R -3 m'
_space_group_IT_number 166
_space_group_name_Hall '-R 3 2"'
_cell_length_a 8.5422
_cell_length_b 8.5422
_cell_length_c 12.4521
_cell_angle_alpha 90.00
_cell_angle_beta 90.00
_cell_angle_gamma 120.00
loop_
_atom_site_label
_atom_site_fract_x
_atom_site_fract_y
_atom_site_fract_z
Ac1 0.0000 0.0000 0.1508
Mn1 0.0000 0.0000 0.3969
Co1 0.0000 0.2786 0.5000
Co2 0.0000 0.5000 0.0000
Co3 0.0086 0.5043 0.3445
# Energy of formation from the pure elements   25 meV/atom
# VASP energy   -6.983 eV/atom


! La2Ga3Au | Alexandria via LeMat-Bulk | GGA-PBE | relaxed; values from VASP
&SYSTEM
  ibrav = 0, nat = 6, ntyp = 3
/
ATOMIC_SPECIES
La 138.91 La.upf
Ga 69.72 Ga.upf
Au 196.97 Au.upf
CELL_PARAMETERS angstrom
-0.476 2.965 2.556
0.426 -2.938 3.488
7.839 1.208 0.059
ATOMIC_POSITIONS angstrom
La 0.227 -1.467 1.744
La 3.903 0.601 0.029
Ga 6.302 2.490 1.327
Ga 1.042 1.680 1.288
Ga 5.221 0.821 3.061
Au 2.589 0.416 3.042
! DOS(E_F) = 4.1 states/eV/cell
! Magnetic moment = 0.000 μB/cell
! ΔE_f = -4.36 eV per formula unit
! SG = Pmm2
........

## Activity
What is needed: quote the whole of the rows further up with every line break kept.

## Response
# Ac2Mn2Co15 | the Alexandria database | PBE-GGA | optimized geometry
data_Ac2Mn2Co15
_chemical_formula_sum 'Ac6 Mn6 Co45'
_space_group_name_H-M_alt 'R -3 m'
_space_group_IT_number 166
_space_group_name_Hall '-R 3 2"'
_cell_length_a 8.5422
_cell_length_b 8.5422
_cell_length_c 12.4521
_cell_angle_alpha 90.00
_cell_angle_beta 90.00
_cell_angle_gamma 120.00
loop_
_atom_site_label
_atom_site_fract_x
_atom_site_fract_y
_atom_site_fract_z
Ac1 0.0000 0.0000 0.1508
Mn1 0.0000 0.0000 0.3969
Co1 0.0000 0.2786 0.5000
Co2 0.0000 0.5000 0.0000
Co3 0.0086 0.5043 0.3445
# Energy of formation from the pure elements   25 meV/atom
# VASP energy   -6.983 eV/atom


! La2Ga3Au | Alexandria via LeMat-Bulk | GGA-PBE | relaxed; values from VASP
&SYSTEM
  ibrav = 0, nat = 6, ntyp = 3
/
ATOMIC_SPECIES
La 138.91 La.upf
Ga 69.72 Ga.upf
Au 196.97 Au.upf
CELL_PARAMETERS angstrom
-0.476 2.965 2.556
0.426 -2.938 3.488
7.839 1.208 0.059
ATOMIC_POSITIONS angstrom
La 0.227 -1.467 1.744
La 3.903 0.601 0.029
Ga 6.302 2.490 1.327
Ga 1.042 1.680 1.288
Ga 5.221 0.821 3.061
Au 2.589 0.416 3.042
! DOS(E_F) = 4.1 states/eV/cell
! Magnetic moment = 0.000 μB/cell
! ΔE_f = -4.36 eV per formula unit
! SG = Pmm2